Page 247 - 1993.Millard.North
P. 247
Hey girls where do I start? We have spent the last 5 years together and they
have been the best five years of my life! It os kind of scary to think that we stuck
together despite some of our crazy differences. Let me tell ya' I'm super gald
we did. You guys mean more to me than you could ever imagine! Thanks for
sticking with me and my problems. Thanks for the great memories, the laughs,
and the tears!!-1 will never forget you!!
Alphabet-There are so many things that I need to thank you for and there is no
way for me to express how much you mean to me!! If it was not for you I
probably would not be here today. You are the BEST FRIEND I could have ever
wished for and thank you for everything you've done, (so maybe our Senior
year and the rest of our lives didn't go as planned, but we definitely had a kick
_ time!). Even if you were under the jacket I love you!!
Kros-You go girl!!! Hey who are you going to Kros-out this weekend? Good
luck at Creighton soccer and when I come back to party with you we will go shop
& tan: you bring the checks!!
Sinbad-"Snaps is molesting Sarah" thank God you were saved in time for
basketball, (who are we kidding?). Game master, I don't know what I'm going
to do next year without your game rule knowledge, or Ms. Map skills, but I will
try to manage. When I do come and see ya' in your new college you have to
promise me a game ofT ABOO and maybe even a ride in the aprty car, that is
Beth-We've been through so much it is going to be if you have a pair of shorts to go on my head.
Kari- Is that a dinner ticket for the most expensive restaurant in town with Mr.
really hard to say good-bye. You mean so much to us. Witchen across the table? Oh God what were we thinking? You've been a
great friend-"DA YS" wouldn't be a part of my life it weren't for you! Best of luck
You were always there to laugh with, you've been thee with you and Brian!
through our heartbreaks, and you hold all of our secrets. Katie-No more Hoochies in the haaause! (that is unless we visit Kearney, but
that would be bad cuz the PLAYERS would be there). TOMATOES- gotcha,
We just want you to know no matter how far away we hey what is a palm tree doing in the middle of the church? There are so many
are, no matter what you are going through we will things you have done for me, and we have shared some great memories
together. I hope that we won't lose touch because the hours from 1-3 will not
always be there for you, your our best friend, we love be the same without you. Who is going to protect AZ from JH next year? Next
year we will have to visit our kids KK and TAGS, I hope they survive without
you!-Carrie &Angie us. Thanks for being the best wig-wam buddy ever!!
:==========================::: years, even though you were my enemy in 5th grade basketball. I will never
Reinke-Hey spanks, my PFM buddy, you have been a total sweetie these past
forget our GREASE party, or the many other parties you 've hosted (even the
NEW KIDS) . Best of luck with Jason and everything you do!
Hooville-Duke sucks(J/K)-1 had to say it! You have been a great friend.
Especially New Year's Eve last year. What a riot! You are going far away next
year and I hope you stay in touch, even if you have some hot spanish stud as
a boyfriend like ya did this year. Some time when you get a chance ask me
about the champagne the night I broke my toe doing drill team.
Jamie-Trips to Mahoney, birthday parties when no one saw you smile. Those
are things in the past tn.Jt you still provided me with some crazy as hell
experiences. I wish you complete success and hope you do not forget my
name in afew years!! _
HOOCHIES:(that is my two favorite ones)Deanna-Hey there my DECA stud-
it has been one crazy highschool life, and you have been the biggest
sweetheart through it all. I hope you did not loose the crash helmet that I had
to use from your garage, it might come in handy. I'm glad ypu chose to go to
NU , distance from the PLAYERS will keep you out of trouble. You have been
a great friend and I will never forget ya.
Toonces-Hey there my elementary buddy- who would have thought that we
would be graduating such good friends? I guess I owe it to John for getting us
back to where we needed to be . "Heelp meeee!" and all the rest of our crazy
**Unrelated to this piece: materials data**
┌──
The following is a calculated PXRD pattern of FeGeW4N2. It was derived from the PBE geometry in OQMD, using λ = 1.5418 Å (Cu Kα).

Structural model:
a = 2.8467 Å, b = 2.8467 Å, c = 14.4025 Å
α = 90.00°, β = 90.00°, γ = 120.00°
Space group P-6m2 (No. 187)
Inequivalent atoms, fractional coordinates:
Fe: 0.0000 0.0000 0.0000 [1 per cell]
Ge: 0.6667 0.3333 0.5000 [1 per cell]
W: 0.0000 0.0000 0.3470 [2 per cell]
W: 0.6667 0.3333 0.1467 [2 per cell]
N: 0.3333 0.6667 0.2481 [2 per cell]

Largest 10 diffraction maxima, in order of rising 2θ, 2θ = 10–80°:
| Position (°2θ) | d (Å) | I/Imax | index |
| --- | --- | --- | --- |
| 24.73 | 3.601 | 22 | 0 0 4 |
| 36.44 | 2.465 | 22 | 1 0 0 |
| 36.99 | 2.430 | 17 | 1 0 1 |
| 37.47 | 2.400 | 20 | 0 0 6 |
| 41.16 | 2.193 | 100 | 1 0 3 |
| 44.54 | 2.034 | 10 | 1 0 4 |
| 53.26 | 1.720 | 13 | 1 0 6 |
| 58.42 | 1.580 | 17 | 1 0 7 |
| 65.59 | 1.423 | 19 | 1 1 0 |
| 78.05 | 1.224 | 15 | 1 1 6 |

----------

(1)
For Na3Ni2P2C2O14, a structure optimized by DFT (PBE+U) gives the computed PXRD pattern in this record (copper Kα).
No peak broadening, texture or thermal motion is included.

Structural model:
```
Na3Ni2P2C2O14
1.0
8.311 0.000 0.000
-1.869 8.106 0.000
-3.081 -3.884 8.938
Na Ni P C O
6 4 4 4 28
Cartesian
0.000 0.000 0.000
-3.306 6.149 4.490
-0.857 4.127 4.414
0.909 5.819 0.056
1.972 1.916 4.363
2.735 -1.941 8.901
-1.297 0.908 3.605
3.052 1.135 0.854
1.955 4.981 3.573
6.249 5.171 0.845
0.299 2.862 1.541
1.469 -0.885 2.867
3.537 6.970 1.572
4.712 3.200 2.894
-0.949 1.211 6.037
-0.248 -3.115 7.337
2.193 5.262 6.029
2.951 0.961 7.342
-0.702 1.693 1.864
-0.424 3.928 0.682
-1.687 0.274 5.540
-0.868 6.635 1.509
-2.269 4.833 6.098
0.279 -0.417 3.745
-2.708 4.236 8.226
1.420 2.299 0.643
-0.357 1.951 5.130
-0.815 1.413 7.263
0.821 3.444 2.878
0.298 6.142 3.723
0.492 -2.195 7.856
2.393 0.330 2.551
2.567 5.792 1.883
1.447 4.344 5.490
4.689 -0.091 0.680
4.262 2.546 1.581
2.828 0.787 6.109
3.524 3.670 3.771
2.358 0.214 8.223
4.663 -2.098 5.154
4.731 6.517 0.691
4.191 -2.694 7.271
5.900 -0.557 2.910
3.680 1.904 7.866
5.506 2.239 3.818
5.640 4.428 2.583
```

Top 10 peaks for 2θ = 15–90°, in order of falling intensity:
5.260 Å, I = 100.0; 3.253 Å, I = 93.1; 3.424 Å, I = 69.3; 4.050 Å, I = 57.0; 2.588 Å, I = 52.1; 2.628 Å, I = 49.2; 4.432 Å, I = 47.2; 2.378 Å, I = 38.8; 3.663 Å, I = 34.9; 2.642 Å, I = 34.2


(2)
For MgMn6O4F8, a structure optimized by DFT (PBE+U) gives the computed PXRD pattern in this record (copper Kα).
No peak broadening, texture or thermal motion is included.

Structural model:
```
MgMn6O4F8
1.0
5.486 0.000 0.000
0.544 6.046 0.000
1.449 0.849 8.012
Mg Mn O F
1 6 4 8
Cartesian
0.000 0.000 0.000
0.280 2.991 0.015
1.450 5.470 5.164
3.441 2.359 5.301
3.295 6.044 0.143
4.602 4.362 2.891
5.819 1.324 2.905
2.837 2.173 7.261
4.754 2.583 3.764
4.712 4.673 0.921
5.554 5.849 3.715
1.191 2.772 1.886
1.824 6.055 1.652
1.962 1.117 4.381
2.989 5.420 7.196
2.939 4.265 4.378
4.438 1.419 0.892
5.546 0.888 6.528
└──
**End of the materials data**
stunts(including water games) will be with me forever! YOu have been a terrific
friend since we were 5 I hope it never ends!
Kitty Kariol & Tags- What can I to my two favorite kids? You guys have been
the life of it all. You two are very important to me and I want you to know that
We would just like to salute our cavorting, integrated I will miss you tons next year! Hell, you might even like partying in Wayne better
selves and the haleyon, utopian camaraderie which we than Blair? Have fun with the majority of the norm posse next year, and with
KSA and Jeff!
have partaken of ( not to be overly meretricious and Not only thanks to all my closest friends but thank you to all the people
who made my life at Millard North what it was, it was well worth the 4 years of
fatuous). Remember us because we will have a future homework.
and will be able to eventuallt rule all of you. Most of all , girls thank you for all of the memories, remember I will
never forget you, not your smiles, not your voices, and I will never forget how
Love- much you mean to me! Best of luck to you all!!
Jessica Wilson, Trasi Martin, Cindy Chung Love always, STIG